Please duplicate the lines underneath up to the one that holds "1.86 0.22", that line included.

'''
Entry 1:
The following is a quantum chemistry calculation of C4H9N3O2 as an isolated structure in a non-equilibrium geometry, from the Open Molecules 2025 dataset.

As for the highest occupied orbital energy: -8.49 eV. The value obtained for the energy above the lowest of the compared OMol25 structures with the same formula, charge and spin is 3.872 eV. For the total energy, the calculation gives -12856.0551 eV. For the largest force on an atom, the calculation gives 4.84 eV/A. Its orbital gap is 8.97 eV.

```
! RIJCOSX wB97M-V def2-TZVPD def2/J DEFGRID3
* xyz 0 1
C -0.37 0.26 1.88
C 1.81 0.17 -1.49
N -1.61 0.72 -0.27
C -0.90 1.44 0.69
C 0.39 -0.13 -1.09
N -0.05 -1.41 -1.21
O -1.06 -0.99 1.80
N -0.42 0.93 -1.04
O -0.82 2.62 0.98
H -1.22 -1.30 2.70
H -1.76 -0.25 0.01
H 0.60 -2.11 -1.56
H -1.05 -1.56 -1.26
H 0.71 0.10 1.92
H -0.69 0.78 2.78
H 1.86 0.22 -2.58
H 2.47 -0.63 -1.17
H 2.12 1.13 -1.08
*
```


Entry 2:
The following is a quantum chemistry calculation of one molecule with the formula C8H10 in a non-equilibrium geometry, from the Open Molecules 2025 dataset.

As for the highest occupied orbital energy: -8.25 eV. The value obtained for the energy above the lowest of the compared OMol25 structures with the same formula, charge and spin is 4.620 eV. As for the SMILES: CC1=CCCC12C=C2. For the total energy, the calculation gives -8453.6492 eV. For the largest force on an atom, the calculation gives 6.80 eV/A. Its orbital gap is 9.41 eV.

```
! RIJCOSX wB97M-V def2-TZVPD def2/J DEFGRID3
* xyz 0 1
C 1.85 -0.78 -0.61
C 0.92 -1.55 -1.10
C -1.04 1.91 -0.72
C -1.01 0.90 0.74
C 0.44 -0.28 -0.45
C -0.25 -0.26 0.90
C -0.05 0.91 -1.40
C -0.12 -1.25 1.98
H 2.88 -0.59 -0.43
H 0.64 -2.44 -1.60
H -2.04 1.92 -1.10
H -1.66 1.28 1.52
H -0.63 2.88 -0.47
H -0.52 0.44 -2.26
H 0.84 1.43 -1.75
H -0.97 -1.94 1.97
H -0.08 -0.77 2.95
H 0.79 -1.82 1.81
*
```


Entry 3:
The following is a quantum chemistry calculation of C22H37O2PbSi as an isolated structure in a non-equilibrium geometry, from the Open Molecules 2025 dataset.

As for the highest occupied orbital energy (alpha / beta): -1.84 / -1.18 eV. The value obtained for the energy above the lowest of the compared OMol25 structures with the same formula, charge and spin is 4.650 eV. For the total energy, the calculation gives -40627.0567 eV. For the largest force on an atom, the calculation gives 3.64 eV/A. Its orbital gap (alpha / beta) is 4.18 / 2.69 eV.

```
! RIJCOSX wB97M-V def2-TZVPD def2/J DEFGRID3
* xyz -1 1
O -0.55 2.74 -0.95
C -0.11 2.96 -2.38
C -0.53 4.38 -2.46
H -0.68 2.38 -3.12
H 0.97 2.80 -2.46
C -0.85 4.18 -1.00
H -1.40 4.52 -3.09
H 0.27 5.12 -2.63
C -2.30 4.52 -0.68
H -2.99 3.85 -1.21
H -2.47 5.54 -1.06
H -2.49 4.50 0.40
C 0.11 5.05 -0.23
H 1.15 4.81 -0.48
H -0.04 5.04 0.86
H -0.07 6.08 -0.60
Pb -0.23 1.51 1.15
C 1.84 -1.63 3.42
C 2.54 -2.43 2.47
C 2.95 -1.57 1.41
H 2.76 -3.49 2.55
C 2.53 -0.25 1.71
C 1.89 -0.29 2.98
H 1.58 0.57 3.59
H 1.39 -2.02 4.34
H 3.51 -1.88 0.53
H 2.73 0.60 1.07
C -1.37 -1.77 3.98
C -1.11 -0.41 4.30
C -1.88 0.41 3.43
H -0.42 -0.07 5.08
C -2.58 -0.45 2.54
C -2.33 -1.78 2.92
H -2.85 -2.67 2.56
H -1.01 -2.67 4.50
H -2.05 1.49 3.57
H -3.19 -0.16 1.70
O -0.13 0.17 -4.49
C -0.36 -0.15 -3.06
C 0.95 -0.03 -2.30
H -0.69 -1.20 -3.00
H -1.16 0.47 -2.61
C 2.00 -0.31 -3.39
H 0.97 -0.75 -1.50
H 1.12 0.93 -1.81
C 1.23 -0.24 -4.75
H 2.36 -1.33 -3.22
H 2.90 0.36 -3.36
H 1.27 -1.30 -5.10
H 1.73 0.39 -5.50
C -1.95 -2.96 -0.23
Si -0.32 -3.18 0.57
C -0.29 -4.28 2.11
C 1.14 -3.39 -0.58
H -2.75 -2.67 0.47
H -2.21 -3.94 -0.67
H -1.92 -2.21 -1.04
H -0.08 -5.32 1.79
H 0.49 -3.95 2.81
H -1.27 -4.24 2.62
H 0.90 -4.29 -1.18
H 1.28 -2.52 -1.27
H 2.10 -3.56 -0.04
*
```


Entry 4:
The following is a quantum chemistry calculation of one molecule with the formula C12H10BrNO in a non-equilibrium geometry, from the Open Molecules 2025 dataset.
'''

Entry 1:
The following is a quantum chemistry calculation of C4H9N3O2 as an isolated structure in a non-equilibrium geometry, from the Open Molecules 2025 dataset.

As for the highest occupied orbital energy: -8.49 eV. The value obtained for the energy above the lowest of the compared OMol25 structures with the same formula, charge and spin is 3.872 eV. For the total energy, the calculation gives -12856.0551 eV. For the largest force on an atom, the calculation gives 4.84 eV/A. Its orbital gap is 8.97 eV.

```
! RIJCOSX wB97M-V def2-TZVPD def2/J DEFGRID3
* xyz 0 1
C -0.37 0.26 1.88
C 1.81 0.17 -1.49
N -1.61 0.72 -0.27
C -0.90 1.44 0.69
C 0.39 -0.13 -1.09
N -0.05 -1.41 -1.21
O -1.06 -0.99 1.80
N -0.42 0.93 -1.04
O -0.82 2.62 0.98
H -1.22 -1.30 2.70
H -1.76 -0.25 0.01
H 0.60 -2.11 -1.56
H -1.05 -1.56 -1.26
H 0.71 0.10 1.92
H -0.69 0.78 2.78
H 1.86 0.22 -2.58